70 Replies to “June 13, 2024: Reader Tips”

    1. “Canadians are facing higher levels of food insecurity”

      “More people are living in food-insecure households

      In 2022, 16.9% of Canadians were food insecure, compared with 12.9% in 2021. Overall, the proportion of individuals in households experiencing food insecurity has increased by 5.3 percentage points from 2018 to 2022.

      Close to 1 in 10 (9.9%) Canadians were living in poverty in 2022. An individual or family with a disposable income below the appropriate Market Basket Measure (MBM) threshold, for the size of the family and the region of residence, is considered to be living in poverty. The MBM is Canada’s Official Poverty Line. Food insecurity was greater for people living in poverty (34.0%) than for people not living in poverty (15.0%). From 2018 to 2022, food insecurity has increased for both those living in poverty (by +3.6 percentage points) and those not living in poverty (by +5.8 percentage points).”


    1. Hahahaha, you lefty dipschitts are all the same, no sense of perspective.
      NO, the sanctions are NOT working, and that pathetic line up may just be business as usual, I’v seen them that big in Toronto, were there were/are no sactions, now FO Cass.

  1. Rita @ Sky News Australia has a regular segment called ‘Lefties Losing It.’
    If, like me, you have prematurely called peak lunacy many times you may want to look in an Rita’s show.

    She recently featured a 20-something woman tellng us that TIME itself may be TRANSPHOBIC.
    You see: Queer and transpeople experience time completely differently than cis people.
    It’s called ‘queer temporality”.
    Queer and transpeople’s lives started much later and for a variety of reasons end earlier.
    Therefore: Their experience of time is much more compressed
    She tells us that all the milestones we’ve been socialized to mark the passage of time such as marriage, children, working, retiring, and inheritance have not been accessible to queer and transgenderer people.

    That bigoted linear timeline has a name: heterochronology.

  2. 1am. Just turned into the CBC to see todays lies.

    Story about Canadian women in the military bitching about something.

    Sweet. We’ll be well defended in a hot war….

    1. Prolly bitchin’ about never any tampons in the women’s room so they have to walk aaaall the way over to the men’s room to get them.

      On the bright side (there’s always a bright side), if you get shot in a men’s room in Canada, you’ll always have a tampon handy to plug the bullet hole until you can get medical attention.

  3. Greenwich Village? In 1964? Where are the folksingers – the one and only thing the Village is remembered for in the early 60s?

    1. 1I was mediocre folk singer in the 1968 (good acoustic guitarst though). Folk singing disppeared when Bob Dylan showed up with zn electric band at the Newport Folk festival in 1964. Coffeehouses started to go bankrupt, and disappear, wheras bars showcasing loud bands thrived. The electrified bands were loud enough to overcome the background talking. With the old coffeehouses there was an ethic to keep quiet when a folkie did a set.

      In the very early 1970s I was a janitor on weekends at the old Le Hibou coffeehouse in Ottawa.

      1. “In the very early 1970s I was a janitor on weekends at the old Le Hibou coffeehouse in Ottawa.”

        I remember it so well.

  4. A staggering rate of First Nations newborns are stuck in the Manitoba child welfare system.


    FN children are 7 times more likely to become permanent wards of the province (it’s actually higher because the cohort they are compared to includes FN children not on reserves).

    “Sherry Gott, the Manitoba advocate for children and youth, says the study’s findings are consistent with what her office has been seeing. She says First Nations children who have early contact with CFS can be more likely to get involved with the justice system. “There’s violence, there’s all kinds of stuff that can happen because children are losing their identity,” she said.”

    “We need to decolonize this system.”

    But there’s hope…

    “Any child is a gift, and I think that they need to find their roots, find their family, and look for their identity and who they belong to.”

    “Child welfare in the next 10 years is going to look significantly different in Manitoba, and certainly across the country, as more and more First Nations assume jurisdiction,” she said Tuesday.

    “Child welfare will and is changing as we speak.”

    1. “Child welfare in the next 10 years is going to look significantly different in Manitoba, and certainly across the country, as more and more First Nations assume jurisdiction,” she said Tuesday.

      Best news ever. Take care of your kids and assume responsibility for them instead of breeding for the state.

    1. David…the ONLY WAY to Prevent Vehicle theft… ??
      …is to begin Treating this scum like we did in the mid 1800’s.

      Set em up on a very tall horse, Hemp noose hanging from a tree wrapped around their Neck, Hands ties securely behind their back……

      And SLAP…!! the horses be-hind.
      I SEE ZERO difference in stealing a horse to stealing a Vehicle.

  5. Illuminating article about how the CRA harrasses ordinary Canadians:

    It talks about how the CRA went after a BC pastor after he took a job counseling PTSD RCMP officers (pastors are not paid that much). Another story: w9rk-from-home-professionals, if audited, have to provide hundreds of documents.

    (under a paywall but a good read).

    1. Eons ago, I deducted rental value of a clergyman’s residence as it was specifically allowed plus I deducted office in home expenses, apparent double dipping. The preacher had a congregation but rented space for weekly services. The Income Tax Act at the time didn’t say you couldn’t double dip. They later changed it.

      Not a lawyer, I took a couple small value tax cases to Tax Court for peanuts because the jackasses wouldn’t back off because they thought no-one would be stupid enough to take the cases to court. The lawyer in one case conceded the day before court and in the second case we were awarded costs that exceeded the amount in dispute. Those bastards rely on people giving up.

  6. The conservative media, including SDA I think, have been discussing The Acolyte Star Wars release. Besides the series being woke-terrible, it is mentioned that it has a 85% favorable rating among movie critics on Rotten Tomatoes, as opposed to a 20% rating by the ordinary hoi poloi. I don’t know if this gap has a name yet.

    Anyway the wife and I watched Hillbilly Elegy on Netflix, and I think it came out in 2019 or so. It’s a film about poor whites in rust-belt Ohio, and about an abused boy growing up by his drug addicted family. The film is known as a paen nto Donald Trump’s voting base. It also has a very wide Rotten Tomatoes gap…

    …with movie critics giving it a 25% rnegative rating, and the general public giving the film 82% an 82% approval rating.

____________
C4H6AsCa3F6NO6 as an isolated structure, computed with the ωB97M-V functional and the def2-TZVPD basis.

As for the total charge: +4. The calculation puts the orbital gap at 1.865 eV. As for the total energy: -150428.6672 eV. The spin multiplicity is 1.

Each line ends with the Mulliken charge.
Positions of all 27 atoms, in Å:
Ca1 -6.684 -4.718 1.744  1.97
Ca2 -6.598 2.261 3.106  1.84
Ca3 1.519 -0.424 4.506  2.00
As1 -0.698 -6.795 3.699  1.97
F1 -0.980 -7.099 5.395  -0.43
F2 1.005 -7.393 3.898  -0.47
F3 -0.523 -6.445 1.922  -0.47
F4 -2.484 -6.289 3.528  -0.58
F5 -0.219 -5.082 3.957  -0.53
F6 -1.133 -8.519 3.182  -0.48
N1 -3.079 -1.052 0.827  1.01
O1 -3.739 -0.022 0.969  -0.66
O2 -1.946 -1.108 1.143  -0.55
O3 -3.710 -2.013 0.360  -0.60
C1 2.811 4.406 -4.554  -1.30
C2 2.698 4.584 -2.991  0.49
C3 1.263 4.575 -2.497  -0.50
O4 1.113 3.674 -1.411  -0.33
C4 2.406 3.167 -1.224  0.63
____________

    The boy growing up is now a Republican U.S. Senator representing Ohio. Rare for a conservative film, it has good production values, with Ron Howad directing and with Amy Adams and Glenn Close starring. Again, the gap is an indication of the gulf between the media elites and the public.

    1. “Besides the series being woke-terrible, it is mentioned that it has a 85% favorable rating among movie critics on Rotten Tomatoes, as opposed to a 20% rating by the ordinary hoi poloi.”

      The IMDB comments section is a fascinating read. Hundreds of comments on how awful, intrusive and unnecessary the woke/homo/feminist crap is, interspersed with dozens of comments about how great it is.

      “Don’t believe the HATERS!! This movie is AWESOME!!” “You guys are just threatened by STRONG WOMEN!”

      “Star Wars is for everyone, not just the hardcore fans.” “Everyone who trashes this movie is an incel living in their parents basement and threatened by gayness.”

      (etc, etc)

      A lot of the posts have an obvious agenda, and many are suspiciously similar : “Well, I’m a long time Star Wars fans and I really liked it! I don’t mind if they change the race, gender or sexuality of characters around as long as the writing is good”. “Why shouldn’t Start Wars evolve?” “Why are you so afraid of gays?” “Do you hate all women, or just the strong ones?”

      These posts come quickly after someone has the temerity to explain the difference between actual strong female characters ( Sigourney Weaver in Aliens, Linda Hamilton in Terminator) and what the woke brigade offers us: the 110 lb Instagram models with perfect teeth, makeup and hair tossing multiple grown men around like they were toddlers. Those are *caricatures* of strong women, as might be written by teenage girls….they have no basis in reality.

      It’s not just Star Wars and Star Trek, either…it’s every action/adventure series from the Predator to Indiana Jones. It’s every sword and s*rcery epic from The Witcher to Vikings to The Winter King to Game of Thrones. It’s every period piece from The White Queen to The Spanish Princess to Black Sails to Brittania.

      It’s everywhere, and it’s ridiculous. I choose not to support any company that indulges in this overt, useless bastardization of our history and/or our culture simply for the sake of pushing their own personal political agenda.

      1. Clear sealer is homophobic – it allows the rain to wash away all traces of the semen stains after each pride event!

  7. Viva Dieversity!

    Multiculturalism in Italy: Woman Attacks and Threatens to Kill a Waitress, Accusing Her of Being Racist (Video)

    Meanwhile in Germany…
    Afghan migrant stabs Ukrainian refugee woman in Frankfurt park, leaving her seriously wounded

  8. Ahh… France in the summer. Dining with your loved one outside at a restaurant to the warm orange glow of all the carbeques in the streets…

    French police investigate brutal attack carried out by migrants on two Irish lorry drivers

    France: ‘Dirty Jews, we will kill you, long live Palestine’, customers of a kosher shop in Créteil are threatened with death
